<<<
# 1
VASP calculation (GGA-PBE) on crystalline La7Tb2Pr at its relaxed geometry.

The structure in POSCAR format:
```
La7Tb2Pr
1.0
5.8085 0.0000 0.0000
0.0000 9.2779 -0.3702
0.0000 -4.5162 8.1130
La Tb Pr
7 2 1
Cartesian
0.0000 5.9676 1.6655
0.0000 -1.2059 6.0772
2.9043 -0.7301 2.4040
2.9043 5.4918 5.3388
2.9043 2.4748 0.4330
2.9043 2.2869 7.3098
2.9043 2.3809 3.8714
2.9043 5.1766 2.1520
2.9043 -0.4149 5.5908
0.0000 0.0000 0.0000
```

Total magnetic moment ... 0.1 Bohr magnetons per cell
D(E_F) ... 18.46 states/eV/f.u.
Energy above the lowest structure with this stoichiometry ... 261 meV per atom

=====

# 2
VASP calculation (GGA-PBE) on crystalline La5TbPr at its relaxed geometry.

The structure in POSCAR format:
```
La5TbPr
1.0
0.3747 1.9830 6.7530
0.8139 -4.8374 5.0609
12.4566 -0.7420 6.2244
La Tb Pr
10 2 2
Cartesian
9.6923 -2.1673 7.7924
7.0231 -2.4118 11.0385
3.3603 -0.1856 5.0798
10.0820 -4.2400 10.0155
0.4089 -1.0491 3.8291
13.2363 -2.5472 14.2091
3.5631 0.6436 8.0228
10.2849 -3.4108 12.9585
6.6221 -1.1846 6.9997
3.9529 -1.4291 10.2459
9.8396 -0.4745 10.9496
3.8056 -3.1219 7.0886
0.0000 0.0000 0.0000
6.2283 -0.3710 3.1122
```

Total magnetic moment ... 0.0 Bohr magnetons per cell
Total energy ... -66.3 eV for the cell shown
D(E_F) ... 10.26 states/eV/f.u.

~~~~~

1.
Fe6Sn PBE-GGA optimized geometry; calculated total energy = -6.816 eV per atom; magnetization = 0.000 μB per atom; space-group type = Im-3m, No. 229; crystal system = cubic; energy of formation from the pure elements = 1.010 eV/atom
1.0
-4.306 -1.890 2.184
3.424 -3.835 -0.672
2.052 3.628 3.083
Fe Sn
6 1
direct
0.500 0.750 0.250
0.250 0.750 0.500
0.750 0.250 0.500
0.750 0.500 0.250
0.250 0.500 0.750
0.500 0.250 0.750
0.000 0.000 0.000

2.
Li6PrGa2 PBE-GGA optimized geometry; calculated total energy = -2.682 eV per atom; magnetization = 0.000 μB per atom; space-group type = P4/mmm, No. 123; crystal system = tetragonal; energy of formation from the pure elements = -0.202 eV/atom
1.0
-1.355 -2.621 -3.141
3.963 -1.662 -0.322
-2.338 -6.881 6.750
Ga Li Pr
2 6 1
direct
0.500 0.500 0.874
0.500 0.500 0.126
0.000 0.000 0.500
0.500 0.000 0.713
0.500 0.000 0.287
0.500 0.500 0.500
0.000 0.500 0.713
0.000 0.500 0.287
0.000 0.000 0.000

3.
Li2H6PdRh PBE-GGA optimized geometry; calculated total energy = -3.969 eV per atom; magnetization = 0.000 μB per atom; space-group type = Cm, No. 8; crystal system = monoclinic
1.0
4.904 -0.011 -0.020
-0.011 4.904 -0.021
-2.461 -2.460 3.441
H Pd Li Rh
6 1 2 1
direct
0.755 0.755 0.505
0.245 0.755 0.000
0.242 0.242 0.992
0.755 0.246 0.000
0.244 0.244 0.494
0.757 0.758 0.007
0.500 0.500 0.000
0.750 0.250 0.500
0.250 0.751 0.500
0.000 0.000 0.000

4.
BaGa4Sn PBE-GGA optimized geometry; calculated total energy = -3.154 eV per atom; polymorph energy (0 for the lowest one) = 134.0 meV/atom; magnetization = 0.000 μB per atom; space-group type = F-43m, No. 216; crystal system = cubic; energy of formation from the pure elements = -0.148 eV/atom
1.0
5.929 0.000 0.000
2.965 5.135 0.000
2.965 1.712 4.841
Ba Ga Sn
1 4 1
direct
0.250 0.250 0.250
0.121 0.626 0.626
0.626 0.626 0.626
0.626 0.121 0.626
0.626 0.626 0.121
0.000 0.000 0.000

5.
Ta3PPb PBE-GGA optimized geometry; calculated total energy = -8.462 eV per atom; polymorph energy (0 for the lowest one) = 0.0 meV/atom; magnetization = 0.000 μB per atom; space-group type = Pm-3m, No. 221; crystal system = cubic; energy of formation from the pure elements = 0.473 eV/atom
1.0
-0.604 -4.402 1.426
-0.477 -1.371 -4.435
4.603 -0.720 -0.272
P Ta Pb
1 3 1
direct
0.000 0.000 0.000
0.500 0.000 0.000
0.000 0.500 0.000
0.000 0.000 0.500
0.500 0.500 0.500

6.
In2FeP PBE-GGA optimized geometry; calculated total energy = -4.815 eV per atom; magnetization = 0.298 μB per atom; space-group type = P4mm, No. 99; crystal system = tetragonal; energy of formation from the pure elements = 0.023 eV/atom
1.0
-2.919 -0.745 -0.242
0.617 -1.611 -2.482
1.315 -6.656 4.645
In Fe P
2 1 1
direct
0.000 0.000 0.938
0.500 0.500 0.293
>>>

Type out only the last part of the listing above, starting with the line that has "3.3603 -0.1856".

3.3603 -0.1856 5.0798
10.0820 -4.2400 10.0155
0.4089 -1.0491 3.8291
13.2363 -2.5472 14.2091
3.5631 0.6436 8.0228
10.2849 -3.4108 12.9585
6.6221 -1.1846 6.9997
3.9529 -1.4291 10.2459
9.8396 -0.4745 10.9496
3.8056 -3.1219 7.0886
0.0000 0.0000 0.0000
6.2283 -0.3710 3.1122
```

Total magnetic moment ... 0.0 Bohr magnetons per cell
Total energy ... -66.3 eV for the cell shown
D(E_F) ... 10.26 states/eV/f.u.

~~~~~

1.
Fe6Sn PBE-GGA optimized geometry; calculated total energy = -6.816 eV per atom; magnetization = 0.000 μB per atom; space-group type = Im-3m, No. 229; crystal system = cubic; energy of formation from the pure elements = 1.010 eV/atom
1.0
-4.306 -1.890 2.184
3.424 -3.835 -0.672
2.052 3.628 3.083
Fe Sn
6 1
direct
0.500 0.750 0.250
0.250 0.750 0.500
0.750 0.250 0.500
0.750 0.500 0.250
0.250 0.500 0.750
0.500 0.250 0.750
0.000 0.000 0.000

2.
Li6PrGa2 PBE-GGA optimized geometry; calculated total energy = -2.682 eV per atom; magnetization = 0.000 μB per atom; space-group type = P4/mmm, No. 123; crystal system = tetragonal; energy of formation from the pure elements = -0.202 eV/atom
1.0
-1.355 -2.621 -3.141
3.963 -1.662 -0.322
-2.338 -6.881 6.750
Ga Li Pr
2 6 1
direct
0.500 0.500 0.874
0.500 0.500 0.126
0.000 0.000 0.500
0.500 0.000 0.713
0.500 0.000 0.287
0.500 0.500 0.500
0.000 0.500 0.713
0.000 0.500 0.287
0.000 0.000 0.000

3.
Li2H6PdRh PBE-GGA optimized geometry; calculated total energy = -3.969 eV per atom; magnetization = 0.000 μB per atom; space-group type = Cm, No. 8; crystal system = monoclinic
1.0
4.904 -0.011 -0.020
-0.011 4.904 -0.021
-2.461 -2.460 3.441
H Pd Li Rh
6 1 2 1
direct
0.755 0.755 0.505
0.245 0.755 0.000
0.242 0.242 0.992
0.755 0.246 0.000
0.244 0.244 0.494
0.757 0.758 0.007
0.500 0.500 0.000
0.750 0.250 0.500
0.250 0.751 0.500
0.000 0.000 0.000

4.
BaGa4Sn PBE-GGA optimized geometry; calculated total energy = -3.154 eV per atom; polymorph energy (0 for the lowest one) = 134.0 meV/atom; magnetization = 0.000 μB per atom; space-group type = F-43m, No. 216; crystal system = cubic; energy of formation from the pure elements = -0.148 eV/atom
1.0
5.929 0.000 0.000
2.965 5.135 0.000
2.965 1.712 4.841
Ba Ga Sn
1 4 1
direct
0.250 0.250 0.250
0.121 0.626 0.626
0.626 0.626 0.626
0.626 0.121 0.626
0.626 0.626 0.121
0.000 0.000 0.000

5.
Ta3PPb PBE-GGA optimized geometry; calculated total energy = -8.462 eV per atom; polymorph energy (0 for the lowest one) = 0.0 meV/atom; magnetization = 0.000 μB per atom; space-group type = Pm-3m, No. 221; crystal system = cubic; energy of formation from the pure elements = 0.473 eV/atom
1.0
-0.604 -4.402 1.426
-0.477 -1.371 -4.435
4.603 -0.720 -0.272
P Ta Pb
1 3 1
direct
0.000 0.000 0.000
0.500 0.000 0.000
0.000 0.500 0.000
0.000 0.000 0.500
0.500 0.500 0.500

6.
In2FeP PBE-GGA optimized geometry; calculated total energy = -4.815 eV per atom; magnetization = 0.298 μB per atom; space-group type = P4mm, No. 99; crystal system = tetragonal; energy of formation from the pure elements = 0.023 eV/atom
1.0
-2.919 -0.745 -0.242
0.617 -1.611 -2.482
1.315 -6.656 4.645
In Fe P
2 1 1
direct
0.000 0.000 0.938
0.500 0.500 0.293